What to do:
Next, set down all of the notes further below character by character.

Contents:
........
# 1
# TiCu4 | the Materials Project | PBE | optimized geometry
# - energy of formation from the pure elements (kJ per mole of atoms) = -8
# - volume (Å³/f.u.) = 63.55
# - DFT total energy (eV per cell) = -98.87
data_TiCu4
_chemical_formula_sum 'Ti4 Cu16'
_cell_length_a 4.498
_cell_length_b 4.336
_cell_length_c 13.032
_cell_angle_alpha 90.00
_cell_angle_beta 90.00
_cell_angle_gamma 90.00
_space_group_name_H-M_alt 'P n m a'
_space_group_IT_number 62
loop_
_space_group_symop_operation_xyz
'x,y,z'
'-x,-y,-z'
'-x+1/2,-y,z+1/2'
'x+1/2,y,-z+1/2'
'x+1/2,-y+1/2,-z+1/2'
'-x+1/2,y+1/2,z+1/2'
'-x,y+1/2,-z'
'x,-y+1/2,z'
loop_
_atom_site_label
_atom_site_type_symbol
_atom_site_fract_x
_atom_site_fract_y
_atom_site_fract_z
Ti1 Ti 0.159 0.250 0.097
Cu1 Cu 0.163 0.250 0.503
Cu2 Cu 0.164 0.250 0.299
Cu3 Cu 0.168 0.250 0.702
Cu4 Cu 0.179 0.250 0.895

***

# 2
# Ti5Cu2 | the Materials Project | PBE | optimized geometry
# - magnetic moment (Bohr magnetons per cell) = 1.01
# - energy of formation from the pure elements (kJ per mole of atoms) = 9
# - volume (Å³/f.u.) = 112.97
# - DFT total energy (eV per cell) = -188.10
data_Ti5Cu2
_chemical_formula_sum 'Ti20 Cu8'
_cell_length_a 12.124
_cell_length_b 13.178
_cell_length_c 2.828
_cell_angle_alpha 90.00
_cell_angle_beta 90.00
_cell_angle_gamma 90.00
_space_group_name_H-M_alt 'P b a m'
_space_group_IT_number 55
loop_
_space_group_symop_operation_xyz
'x,y,z'
'-x,-y,-z'
'-x,-y,z'
'x,y,-z'
'x+1/2,-y+1/2,-z'
'-x+1/2,y+1/2,z'
'-x+1/2,y+1/2,-z'
'x+1/2,-y+1/2,z'
loop_
_atom_site_label
_atom_site_type_symbol
_atom_site_fract_x
_atom_site_fract_y
_atom_site_fract_z
Ti1 Ti 0.006 0.121 0.000
Ti2 Ti 0.068 0.663 0.500
Ti3 Ti 0.107 0.465 0.000
Ti4 Ti 0.163 0.003 0.500
Ti5 Ti 0.207 0.831 0.000
Cu1 Cu 0.124 0.260 0.500
Cu2 Cu 0.250 0.143 0.000

***

# 3
# TiZnCu2 | the Materials Project | PBE | optimized geometry
# - magnetic moment (Bohr magnetons per cell) = 0.59
# - energy of formation from the pure elements (kJ per mole of atoms) = -7
# - volume (Å³/f.u.) = 54.80
# - DFT total energy (eV per cell) = -17.66
data_TiZnCu2
_chemical_formula_sum 'Ti1 Zn1 Cu2'
_cell_length_a 3.020
_cell_length_b 3.020
_cell_length_c 6.009
_cell_angle_alpha 90.00
_cell_angle_beta 90.00
_cell_angle_gamma 90.00
_space_group_name_H-M_alt 'P 4/m m m'
_space_group_IT_number 123
_space_group_name_Hall '-P 4 2'
........

Here it is:
# 1
# TiCu4 | the Materials Project | PBE | optimized geometry
# - energy of formation from the pure elements (kJ per mole of atoms) = -8
# - volume (Å³/f.u.) = 63.55
# - DFT total energy (eV per cell) = -98.87
data_TiCu4
_chemical_formula_sum 'Ti4 Cu16'
_cell_length_a 4.498
_cell_length_b 4.336
_cell_length_c 13.032
_cell_angle_alpha 90.00
_cell_angle_beta 90.00
_cell_angle_gamma 90.00
_space_group_name_H-M_alt 'P n m a'
_space_group_IT_number 62
loop_
_space_group_symop_operation_xyz
'x,y,z'
'-x,-y,-z'
'-x+1/2,-y,z+1/2'
'x+1/2,y,-z+1/2'
'x+1/2,-y+1/2,-z+1/2'
'-x+1/2,y+1/2,z+1/2'
'-x,y+1/2,-z'
'x,-y+1/2,z'
loop_
_atom_site_label
_atom_site_type_symbol
_atom_site_fract_x
_atom_site_fract_y
_atom_site_fract_z
Ti1 Ti 0.159 0.250 0.097
Cu1 Cu 0.163 0.250 0.503
Cu2 Cu 0.164 0.250 0.299
Cu3 Cu 0.168 0.250 0.702
Cu4 Cu 0.179 0.250 0.895

***

# 2
# Ti5Cu2 | the Materials Project | PBE | optimized geometry
# - magnetic moment (Bohr magnetons per cell) = 1.01
# - energy of formation from the pure elements (kJ per mole of atoms) = 9
# - volume (Å³/f.u.) = 112.97
# - DFT total energy (eV per cell) = -188.10
data_Ti5Cu2
_chemical_formula_sum 'Ti20 Cu8'
_cell_length_a 12.124
_cell_length_b 13.178
_cell_length_c 2.828
_cell_angle_alpha 90.00
_cell_angle_beta 90.00
_cell_angle_gamma 90.00
_space_group_name_H-M_alt 'P b a m'
_space_group_IT_number 55
loop_
_space_group_symop_operation_xyz
'x,y,z'
'-x,-y,-z'
'-x,-y,z'
'x,y,-z'
'x+1/2,-y+1/2,-z'
'-x+1/2,y+1/2,z'
'-x+1/2,y+1/2,-z'
'x+1/2,-y+1/2,z'
loop_
_atom_site_label
_atom_site_type_symbol
_atom_site_fract_x
_atom_site_fract_y
_atom_site_fract_z
Ti1 Ti 0.006 0.121 0.000
Ti2 Ti 0.068 0.663 0.500
Ti3 Ti 0.107 0.465 0.000
Ti4 Ti 0.163 0.003 0.500
Ti5 Ti 0.207 0.831 0.000
Cu1 Cu 0.124 0.260 0.500
Cu2 Cu 0.250 0.143 0.000

***

# 3
# TiZnCu2 | the Materials Project | PBE | optimized geometry
# - magnetic moment (Bohr magnetons per cell) = 0.59
# - energy of formation from the pure elements (kJ per mole of atoms) = -7
# - volume (Å³/f.u.) = 54.80
# - DFT total energy (eV per cell) = -17.66
data_TiZnCu2
_chemical_formula_sum 'Ti1 Zn1 Cu2'
_cell_length_a 3.020
_cell_length_b 3.020
_cell_length_c 6.009
_cell_angle_alpha 90.00
_cell_angle_beta 90.00
_cell_angle_gamma 90.00
_space_group_name_H-M_alt 'P 4/m m m'
_space_group_IT_number 123
_space_group_name_Hall '-P 4 2'